Activity =
Next, search the rows below for the word "first" and duplicate each line that has it.

File =
-- begin --
This entry pairs a crystal structure of CsCoSbO4 with its theoretical powder diffraction line list. Radiation: Cu Kα (weighted mean of Kα1 and Kα2). Structure: a crystal structure in Alexandria, relaxed with GGA+U.
Intensities are scaled so that the largest is 100.

Principal peaks in the range 10° ≤ 2θ ≤ 90°, low angle first:
2θ (°)	intensity	(hkl)
11.8	34	0 0 1
24.0	45	1 1 -1
26.3	100	1 1 1
28.6	54	0 1 2
31.9	45	0 2 0
35.6	33	2 1 -1

Crystal structure
```
data_CsCoSbO4
_cell_length_a 5.7986
_cell_length_b 5.6089
_cell_length_c 7.6132
_cell_angle_alpha 90.00
_cell_angle_beta 98.53
_cell_angle_gamma 90.00
_space_group_name_H-M_alt 'P 1 21/m 1'
_space_group_IT_number 11
_space_group_name_Hall '-P 2yb'
loop_
_atom_site_label
_atom_site_type_symbol
_atom_site_fract_x
_atom_site_fract_y
_atom_site_fract_z
Cs1 Cs 0.2222 0.2500 0.0843
Co1 Co 0.3882 0.2500 0.6448
Sb1 Sb 0.1534 0.7500 0.4667
O1 O 0.1168 0.0179 0.6510
O2 O 0.2856 0.7500 0.2392
O3 O 0.4844 0.7500 0.5782
```
-- stop --

Completed =
Principal peaks in the range 10° ≤ 2θ ≤ 90°, low angle first: